# Wanted
Work out how many lines further down have the word "form" in them; a number is enough.

# Data
Record 1
# Cd4AsPCl2 PBE-GGA optimized geometry
# - formation energy (no corrections) (meV per atom) = -334
# - calculated density (g cm⁻³) = 5.304
# - total magnetic moment (μB per formula unit) = 0.00
# - uncorrected energy (eV per atom) = -2.511
data_Cd4AsPCl2
_cell_length_a 8.4726
_cell_length_b 8.4726
_cell_length_c 7.7086
_cell_angle_alpha 117.12
_cell_angle_beta 117.12
_cell_angle_gamma 98.39
_symmetry_space_group_name_H-M 'P 1'
_symmetry_Int_Tables_number 1
loop_
_symmetry_equiv_pos_as_xyz
'x,y,z'
loop_
_atom_site_label
_atom_site_type_symbol
_atom_site_fract_x
_atom_site_fract_y
_atom_site_fract_z
As1 As 0.0000 0.5000 0.0000
As2 As 0.0000 0.5000 0.5000
Cd1 Cd 0.8003 0.2164 0.0080
Cd2 Cd 0.7164 0.3003 0.5080
Cd3 Cd 0.2176 0.2817 0.0185
Cd4 Cd 0.7817 0.7176 0.5185
Cd5 Cd 0.2836 0.6997 0.4920
Cd6 Cd 0.2183 0.2824 0.4815
Cd7 Cd 0.7824 0.7183 0.9815
Cd8 Cd 0.1997 0.7836 0.9920
P1 P 0.0000 0.0000 0.0000
P2 P 0.5000 0.5000 0.5000
Cl1 Cl 0.5000 0.5000 0.0000
Cl2 Cl 0.5000 0.0000 0.5000
Cl3 Cl 0.0000 0.0000 0.5000
Cl4 Cl 0.5000 0.0000 0.0000


Record 2
# SrPmPdPt PBE-GGA optimized geometry
# - formation enthalpy at 0 K (eV per atom) = -0.846
# - calculated density (g cm⁻³) = 8.677
# - total magnetic moment (μB per formula unit) = 0.00
# - offset from the most stable computed form (meV per atom) = 0
# - uncorrected energy (eV per atom) = -5.263
data_SrPmPdPt
_cell_length_a 4.0186
_cell_length_b 4.4584
_cell_length_c 6.0487
_cell_angle_alpha 90.00
_cell_angle_beta 109.40
_cell_angle_gamma 90.00
_symmetry_space_group_name_H-M 'P 1'
_symmetry_Int_Tables_number 1
loop_
_symmetry_equiv_pos_as_xyz
'x,y,z'
loop_
_atom_site_label
_atom_site_type_symbol
_atom_site_fract_x
_atom_site_fract_y
_atom_site_fract_z
Sr1 Sr 0.1429 0.0000 0.2859
Pd1 Pd 0.5741 0.5000 0.1482
Pt1 Pt 0.4151 0.0000 0.8301
Pm1 Pm 0.8679 0.5000 0.7358


Record 3
# GaAuI2O PBE-GGA optimized geometry
# - formation energy (no corrections) (meV per atom) = -170
# - calculated density (g cm⁻³) = 7.326
# - total magnetic moment (μB per formula unit) = 0.00
# - offset from the most stable computed form (meV per atom) = 0
# - uncorrected energy (eV per atom) = -3.042
data_GaAuI2O
_cell_length_a 5.8366
_cell_length_b 5.8366
_cell_length_c 3.5695
_cell_angle_alpha 90.00
_cell_angle_beta 90.00
_cell_angle_gamma 90.00
_symmetry_space_group_name_H-M 'P 1'
_symmetry_Int_Tables_number 1
loop_
_symmetry_equiv_pos_as_xyz
'x,y,z'
loop_
_atom_site_label
_atom_site_type_symbol
_atom_site_fract_x
_atom_site_fract_y
_atom_site_fract_z
Au1 Au 0.5000 0.5000 0.5000
Ga1 Ga 0.0000 0.0000 0.0000
O1 O 0.0000 0.0000 0.5000
I1 I 0.5000 0.0000 0.0000
I2 I 0.0000 0.5000 0.0000


Record 4
# Ce2HoH6 PBE-GGA optimized geometry
# - calculated density (g cm⁻³) = 6.559
# - total magnetic moment (μB per formula unit) = 1.57
# - uncorrected energy (eV per atom) = -4.652
data_Ce2HoH6
_cell_length_a 3.7577
_cell_length_b 5.3736
_cell_length_c 6.5384
_cell_angle_alpha 114.26
_cell_angle_beta 106.69
_cell_angle_gamma 90.00
_symmetry_space_group_name_H-M 'P 1'
_symmetry_Int_Tables_number 1
loop_
_symmetry_equiv_pos_as_xyz
'x,y,z'
loop_
_atom_site_label
_atom_site_type_symbol
_atom_site_fract_x
_atom_site_fract_y
_atom_site_fract_z
H1 H 0.5000 0.2343 0.0000
H2 H 0.1622 0.9219 0.3247
H3 H 0.5000 0.7657 0.0000
H4 H 0.8378 0.5972 0.6753
H5 H 0.1622 0.4028 0.3247
H6 H 0.8378 0.0781 0.6753
Ce1 Ce 0.3356 0.3354 0.6709
Ce2 Ce 0.6644 0.6646 0.3291
Ho1 Ho 0.0000 0.0000 0.0000


Record 5
# PrZn4Co PBE-GGA optimized geometry
# - formation enthalpy at 0 K (eV per atom) = -0.102
# - calculated density (g cm⁻³) = 7.631
# - total magnetic moment (μB per formula unit) = 0.00
# - uncorrected energy (eV per atom) = -2.933
data_PrZn4Co
_cell_length_a 5.2173
_cell_length_b 5.2173
_cell_length_c 5.2173
_cell_angle_alpha 60.00
_cell_angle_beta 60.00
_cell_angle_gamma 60.00
_symmetry_space_group_name_H-M 'P 1'
_symmetry_Int_Tables_number 1
loop_
_symmetry_equiv_pos_as_xyz
'x,y,z'
loop_
_atom_site_label
_atom_site_type_symbol

# Completed
2